Title: Coherent Measures of Risk
1Coherent Measures of Risk
- CAS Seminar on
- Dynamic Financial Analysis
- June 8, 2001
- Glenn Meyers
- Insurance Services Office, Inc.
2New Papers
- Coherent Measures of Risk
- Philippe Artzner, Freddy Delbaen, Jean-Marc Eber
and David Heath, Math. Finance 9 (1999), no. 3,
203-228 - http//www.math.ethz.ch/delbaen/ftp/preprints/Coh
erentMF.pdf - Coherent Measures of Risk - An Explanation for
the Lay Actuary - Glenn Meyers
- http//www.casact.org/pubs/forum/00sforum/meyers/C
3A List of Loss Scenarios
Define a measure of risk r(X) MaximumXi
r(XY) ? r(X)r(Y)
If X ? Y for each scenario, then r(X) ? r(Y)
6Positive Homogeneity
For all l ? 0 and random loss X, r(lX) lr(Y)
7Translation Invariance
For all random losses X and constants a r(Xa)
r(X) a
8Axioms for Coherent Measures of RiskSatisfied by
our example
- Subadditivity For all random losses X and Y,
- r(XY) ? r(X)r(Y)
- Monotonicity If X ? Y for each scenario, then
- r(X) ? r(Y)
- Positive Homogeneity For all l ? 0 and random
loss X - r(lX) lr(Y)
- Translation Invariance For all random losses X
and constants a - r(Xa) r(X) a
9Value at Risk/Probability of Ruinis not coherent
- violates subadditivity
10Standard Deviation Principle is not coherent -
violates monotonicity
11The Representation Theorem
- Let ? denote a finite set of scenarios.
- Let X be a loss associated with each scenario.
- A risk measure, ?, is coherent if and only if
there exists a family, ?, of probability measures
defined on ? such that
i.e. the maximum of a bunch of generalized
12Probability Measures?The Easiest Example
- Let A Ai be the set of one element subsets of
W. Let Xi be the loss for ai.
13Probability Measures?The Next Easiest Example
- Let A Ai be the set of n element subsets of W.
Let Xw be the loss for w?W
14Proposed Measure of RiskTail Value at Risk
Value at Risk
• Materials data that have nothing to do with the piece:
........
[1]
Below is an optimized crystal structure of AgPO2F2, with properties calculated at the PBE level.

Unit cell a=6.0971 b=3.3493 c=6.9416 alpha=90.00 beta=107.05 gamma=90.00
With the nearest neighbours (Å) after each atom.
Atoms (fractional coordinates):
Ag (0.1670, 0.2500, 0.3507)  3 O 2.26-2.48, 1 F 2.40
Ag (0.8330, 0.7500, 0.6493)  3 O 2.26-2.48, 1 F 2.40
P (0.3441, 0.2500, 0.8565)  1 O 1.53, 2 F 1.65-1.68
P (0.6559, 0.7500, 0.1435)  1 O 1.53, 2 F 1.65-1.68
O (0.1377, 0.2500, 0.6675)  1 P 1.53
O (0.4092, 0.7500, 0.9145)  3 P 1.74-1.84
O (0.5908, 0.2500, 0.0855)  3 P 1.74-1.84
O (0.8623, 0.7500, 0.3325)  1 P 1.53
F (0.1808, 0.2500, 0.0093)  1 P 1.65
F (0.4639, 0.7500, 0.2746)  1 P 1.68
F (0.5361, 0.2500, 0.7254)  1 P 1.68
F (0.8192, 0.7500, 0.9907)  1 P 1.65

Symmetry: P2_1/m (11)
Raw total energy: -5.23 eV/atom

---

[2]
Below is an optimized crystal structure of AgS2O6F2, with properties calculated at the PBE level.

Unit cell a=9.7866 b=7.5519 c=8.6869 alpha=90.00 beta=114.28 gamma=90.00
With the nearest neighbours (Å) after each atom.
Atoms (fractional coordinates):
Ag (0.0000, 0.0000, 0.0000)  4 O 2.17-2.25
Ag (0.0000, 0.5000, 0.5000)  4 O 2.17-2.25
Ag (0.5000, 0.0000, 0.5000)  4 O 2.18-2.19
Ag (0.5000, 0.5000, 0.0000)  4 O 2.18-2.19
S (0.1497, 0.2300, 0.3292)  3 O 1.43-1.46, 1 F 1.59
S (0.1497, 0.2700, 0.8292)  3 O 1.43-1.46, 1 F 1.59
S (0.3406, 0.7258, 0.2046)  3 O 1.43-1.47, 1 F 1.58
S (0.3406, 0.7742, 0.7046)  3 O 1.43-1.47, 1 F 1.58
S (0.6594, 0.2258, 0.2954)  3 O 1.43-1.47, 1 F 1.58
S (0.6594, 0.2742, 0.7954)  3 O 1.43-1.47, 1 F 1.58
S (0.8503, 0.7300, 0.1708)  3 O 1.43-1.46, 1 F 1.59
S (0.8503, 0.7700, 0.6708)  3 O 1.43-1.46, 1 F 1.59
O (0.0139, 0.2289, 0.1722)  1 S 1.46
O (0.0139, 0.2711, 0.6722)  1 S 1.46
O (0.1702, 0.1072, 0.9276)  1 S 1.46
O (0.1702, 0.3928, 0.4276)  1 S 1.46
O (0.2047, 0.6949, 0.6951)  1 S 1.43
O (0.2047, 0.8051, 0.1951)  1 S 1.43
O (0.2837, 0.1737, 0.3143)  1 S 1.43
O (0.2837, 0.3263, 0.8143)  1 S 1.43
O (0.3313, 0.6582, 0.0432)  1 S 1.46
O (0.3313, 0.8418, 0.5432)  1 S 1.46
O (0.4805, 0.6758, 0.7936)  1 S 1.47
O (0.4805, 0.8242, 0.2936)  1 S 1.47
O (0.5195, 0.1758, 0.7064)  1 S 1.47
O (0.5195, 0.3242, 0.2064)  1 S 1.47
O (0.6687, 0.1582, 0.4568)  1 S 1.46
O (0.6687, 0.3418, 0.9568)  1 S 1.46
O (0.7163, 0.6737, 0.1857)  1 S 1.43
O (0.7163, 0.8263, 0.6857)  1 S 1.43
O (0.7953, 0.1949, 0.8049)  1 S 1.43
O (0.7953, 0.3051, 0.3049)  1 S 1.43
O (0.8298, 0.6072, 0.5724)  1 S 1.46
O (0.8298, 0.8928, 0.0724)  1 S 1.46
O (0.9861, 0.7289, 0.3278)  1 S 1.46
O (0.9861, 0.7711, 0.8278)  1 S 1.46
F (0.1144, 0.0860, 0.4412)  1 S 1.59
F (0.1144, 0.4140, 0.9412)  1 S 1.59
F (0.3630, 0.5556, 0.3185)  1 S 1.58
F (0.3630, 0.9444, 0.8185)  1 S 1.58
F (0.6370, 0.0556, 0.1815)  1 S 1.58
F (0.6370, 0.4444, 0.6815)  1 S 1.58
F (0.8856, 0.5860, 0.0588)  1 S 1.59
F (0.8856, 0.9140, 0.5588)  1 S 1.59

Symmetry: P2_1/c (14)
Raw total energy: -5.22 eV/atom

---

[3]
........
Tail Conditional Expectation Tail Value at Risk
15Tail Value at Risk is the average of all losses
above the Value at Risk
16(No Transcript)
17TVaR and Expected Policyholder Deficit
The appeal of TVaR and EPD is that they both
address the question -- How bad is bad?
18Determine the Amount of Capital
- Decide on a measure of risk
- Tail Value at Risk
- Average of the top 1 of aggregate losses
- Note that the measure of risk is applied to the
insurers entire portfolio of losses. - Capital determined by the risk measure.
- C r(X) - EX
19Step 2Allocate Capital
- How are you going to use allocated capital?
- Use it to set profitability targets.
- How do you allocate capital?
- Any way that leads to correct economic decisions,
i.e. the insurer is better off if you get your
expected profit.
20Better Off?
- Let P Profit and C Capital. Then the insurer
is better off by adding a line/policy if
? Marginal return on new business ? return
on existing business.
21OK - Set targets so that marginal return on
capital equal to insurer return on Capital?
- If risk measure is subadditive then
- Sum of Marginal Capitals is ? Capital
- Will be strictly subadditive without perfect
correlation. - If insurer is doing a good job, strict
subadditivity should be the rule.
22OK - Set targets so that marginal return on
capital equal to insurer return on Capital?
If the insurer expects to make a return, e P/C
then at least some of its operating divisions
must have a return on its marginal capital that
is greater than e. Proof by contradiction If
23Ways to Allocate Capital 1
- Gross up marginal capital by a factor to force
allocations to add up. - Economic justification - Long run result of
insurers favoring lines with greatest return on
marginal capital in their underwriting. - Appropriate for stock insurers.
- I use it because it is easy.
24Ways to Allocate Capital 2
- Average marginal capital, where average is taken
over all entry orders. - Shapley Value
- Economic justification - Game theory
- Appropriate for mutual insurers
25Ways to Allocate Capital 3
- Line headed by CEOs kid brother gets the
marginal capital. Gross up all other lines. - Economic justification -
26Conclusion on Allocating Capital
- Axioms for coherent measures of risk do not
prescribe a unique allocation method. - Additional economic and/or fairness assumptions
are needed.
27Papers on Coherent Allocation
- Coherent Allocation of Risk Capital
- Michael Denault
- http//www.risklab.ch/ftp/papers/CoherentAllocatio
n.pdf - The Cost of Financing Insurance - V 2.0
- Glenn Meyers
- http//www.casact.org/pubs/forum/01spforum/meyers/